The Gorilla in the Room: Part 2 in the Series: How did Anti-Public School Corporate Reformers become the Dominant Force in Education Reform?

Welcome to Part 2 of The War Report’s Back to the Future Series on the Common Core. In this episode, Dr. Deborah Owens will answer questions from our previous blog and address what she calls “the gorilla in the room.” The following is Dr. Owen’s synopsis of the upcoming show:

By Deborah Owens

The Common Core represents the “gorilla in the room.”  This gorilla has further facilitated a raft of pro-corporate education reform initiatives that support charter schools, Teach for America, Draconian high stakes testing, VAM models for teacher accountability, and data mining of students’ personal and academic information — each of which lines the pockets of Wall Street entrepreneurs at the expense of our locally controlled public schools and, most importantly, our nation’s most precious resource, our children.

Click the link below to listen to why Dr. Owens calls Common Core the Gorilla in the Room:

The Gorilla in the Room War Report Podcast 

The following excerpts from The Origins… illustrate the third way of governance as it was developing in the 1990s.

-- Molecular data, kept here for reference --
'''
{"formula": "C31H62MnP2Si2", "method": "ωB97M-V/def2-TZVPD", "symbols": ["Mn", "C", "C", "C", "C", "C", "C", "H", "H", "H", "C", "H", "H", "H", "C", "H", "H", "H", "C", "H", "H", "H", "C", "H", "H", "H", "C", "C", "C", "C", "C", "C", "C", "C", "H", "H", "H", "H", "H", "H", "H", "H", "H", "H", "H", "H", "P", "P", "C", "C", "H", "H", "H", "H", "C", "H", "H", "H", "C", "H", "H", "H", "C", "H", "H", "H", "C", "H", "H", "H", "C", "Si", "C", "C", "C", "Si", "C", "C", "C", "H", "H", "H", "H", "H", "H", "H", "H", "H", "H", "H", "H", "H", "H", "H", "H", "H", "H", "H"], "coordinates": [[-1.5243, -0.2277, 0.5517], [-3.0796, 1.1198, 1.4184], [-3.5977, 0.4035, 0.2667], [-2.9962, -1.1644, 1.8939], [-2.6914, 0.1658, 2.4008], [-3.5791, -1.0044, 0.5947], [-3.0718, 2.6087, 1.5919], [-3.1546, 3.1241, 0.6317], [-2.1599, 2.9524, 2.0876], [-3.9254, 2.9254, 2.2065], [-2.1103, 0.4508, 3.7500], [-1.6565, 1.4448, 3.7833], [-1.3350, -0.2811, 3.9957], [-2.8894, 0.4063, 4.5228], [-2.7992, -2.4390, 2.6546], [-3.6110, -2.6028, 3.3768], [-1.8521, -2.4138, 3.2027], [-2.7728, -3.2994, 1.9797], [-4.2012, -2.0938, -0.2253], [-5.2139, -2.3090, 0.1413], [-3.6264, -3.0224, -0.1697], [-4.2880, -1.8038, -1.2754], [-4.2725, 1.0179, -0.9228], [-5.3639, 1.0479, -0.7909], [-4.0621, 0.4499, -1.8337], [-3.9316, 2.0441, -1.0853], [3.2076, 3.6225, -3.9551], [2.1214, 4.3525, -4.2350], [1.3165, 4.4500, -5.5043], [1.4944, 3.3229, -6.5454], [1.1431, 1.9575, -6.0051], [1.9073, 1.1101, -5.3058], [3.3372, 1.2402, -4.8510], [3.9535, 2.6566, -4.8440], [1.5274, 5.4165, -5.9887], [2.5075, 3.3442, -6.9506], [0.2556, 4.4944, -5.2200], [4.0355, 3.0341, -5.8648], [3.5999, 3.7064, -2.9412], [1.7423, 4.9832, -3.4298], [4.9811, 2.5661, -4.4722], [3.3986, 0.8312, -3.8326], [1.4394, 0.1712, -5.0070], [3.9701, 0.5814, -5.4665], [0.8278, 3.5447, -7.3872], [0.1161, 1.6426, -6.1921], [-0.1712, 1.2992, -0.4456], [-0.6561, -1.6077, -1.0170], [0.9388, 0.5133, -1.7343], [1.0278, -0.9968, -1.4910], [1.9258, 0.9885, -1.7306], [0.4815, 0.7141, -2.7108], [1.4185, -1.5329, -2.3637], [1.6659, -1.2077, -0.6271], [-0.3460, -3.3600, -0.5655], [-1.2796, -3.9104, -0.4040], [0.2544, -3.3984, 0.3485], [0.2242, -3.8119, -1.3811], [-1.4795, -1.7859, -2.6588], [-0.7902, -2.1936, -3.4069], [-1.8411, -0.8092, -2.9923], [-2.3392, -2.4548, -2.5698], [1.0170, 2.2055, 0.6286], [0.5081, 2.7313, 1.4444], [1.5708, 2.9089, 0.0022], [1.7296, 1.4886, 1.0480], [-0.8770, 2.6931, -1.4253], [-1.6649, 2.3148, -2.0823], [-0.1008, 3.1744, -2.0309], [-1.3098, 3.4403, -0.7551], [3.2017, -0.2813, 2.6656], [1.4300, -0.1411, 3.3133], [1.4952, -0.7276, 5.1039], [1.3271, 1.6909, 3.7931], [0.2361, -1.2502, 2.1311], [0.5115, -3.1568, 2.9625], [-0.2049, -3.5049, 4.7095], [-0.1032, -4.8160, 2.2368], [2.3343, -3.6013, 3.0817], [3.8841, 0.2242, 3.3774], [3.3131, 0.1943, 1.6757], [3.5356, -1.3197, 2.5426], [2.2294, -0.1217, 5.6713], [0.5030, -0.5857, 5.5786], [1.8504, -1.7611, 5.2105], [1.7011, 2.4007, 3.0556], [0.3453, 1.9845, 4.1929], [2.0514, 1.8586, 4.6146], [0.9360, -1.3667, 1.3055], [-1.2919, -3.7107, 4.7114], [0.2597, -4.4419, 5.0797], [-0.0314, -2.7411, 5.4738], [0.4534, -5.1670, 1.3463], [0.0881, -5.6131, 2.9843], [-1.1882, -4.8103, 2.0404], [2.7850, -3.5682, 2.0687], [2.9012, -2.9609, 3.7736], [2.4234, -4.6367, 3.4705]], "forces_ev_per_a": [[0.787, -0.594, 1.829], [-0.165, -0.540, -0.785], [-1.007, -0.410, 0.980], [-0.024, 1.555, 1.158], [-0.735, -1.641, 0.219], [-0.219, 1.028, -0.436], [0.125, 0.046, -0.108], [-0.008, -0.054, 0.143], [-0.109, -0.006, 0.016], [0.181, -0.137, -0.094], [-0.095, 0.027, 0.033], [-0.117, -0.134, 0.024], [-0.176, 0.073, -0.029], [0.135, 0.021, -0.132], [-0.033, 0.069, -0.091], [0.098, 0.090, -0.172], [-0.465, 0.134, -0.167], [-0.037, 0.095, 0.102], [0.058, -0.021, -0.087], [0.211, 0.049, -0.034], [-0.098, 0.055, 0.015], [-0.016, -0.034, 0.114], [0.051, -0.004, -0.075], [0.257, -0.015, -0.035], [-0.082, 0.071, 0.021], [-0.075, -0.125, -0.010], [-0.356, 0.085, -0.006], [0.223, -0.246, 0.130], [0.008, -0.060, -0.165], [0.037, 0.132, 0.046], [0.139, -0.191, 0.278], [-0.231, 0.290, -0.126], [0.142, 0.123, -0.077], [-0.023, -0.125, -0.060], [-0.038, -0.184, 0.107], [-0.194, -0.015, 0.022], [0.126, 0.006, -0.041], [0.032, -0.057, 0.190], [-0.020, 0.049, -0.109], [0.087, -0.030, -0.082], [-0.163, 0.023, -0.072], [0.021, 0.027, -0.084], [0.018, 0.036, -0.091], [-0.127, 0.114, 0.123], [0.118, -0.046, 0.134], [0.127, -0.002, -0.004], [1.877, 2.271, -1.164], [0.983, -2.216, -1.673], [-0.378, -0.184, 0.235], [-0.269, 0.177, 0.389], [-0.207, 0.032, 0.040], [0.070, 0.043, 0.120], [-0.139, 0.004, 0.183], [0.062, -0.015, -0.149], [0.088, 0.469, -0.017], [0.199, 0.150, -0.046], [-0.263, 0.104, -0.363], [-0.133, -0.085, 0.008], [-0.105, 0.298, 0.236], [-0.067, 0.068, 0.215], [0.026, -0.102, -0.096], [0.086, 0.087, 0.024], [-0.174, -0.403, -0.218], [0.082, -0.170, -0.310], [-0.110, 0.039, 0.025], [-0.205, 0.155, -0.011], [-0.272, -0.245, 0.177], [0.079, 0.093, 0.004], [-0.013, -0.197, 0.127], [0.026, -0.103, -0.046], [0.218, 0.076, -0.229], [0.107, -1.023, 0.048], [0.160, -0.340, 0.418], [0.044, 0.662, 0.019], [0.662, -0.527, 1.246], [-0.165, 0.550, 0.613], [-0.325, 0.171, 0.357], [-0.162, -0.294, -0.678], [0.453, -0.002, 0.037], [-0.256, -0.192, -0.403], [0.101, -0.033, 0.284], [-0.101, 0.300, 0.089], [-0.424, -0.095, -0.397], [0.539, -0.267, -0.038], [-0.438, 0.225, 0.129], [-0.450, 0.057, -0.086], [0.292, 0.154, -0.258], [-0.404, -0.517, -0.189], [0.535, -0.073, -0.390], [0.433, 0.075, -0.124], [-0.046, 0.474, -0.301], [-0.059, -0.166, -0.189], [-0.441, 0.235, 0.240], [-0.122, 0.679, -0.097], [0.393, -0.200, -0.128], [0.016, -0.013, 0.548], [-0.051, -0.187, -0.420], [-0.126, 0.469, -0.302]], "homo_lumo_gap_ev": [5.52, 6.66], "lumo_energy_ev": [-3.74, -3.73], "spin_multiplicity": 5, "e_tot_ha": -3630.8126, "total_charge": 1}
'''

In a first-rate example of how the corporations began their full-out assault on public education, here’s a quote from former IBM corporate superstar Lou Gerstner — the corporate superstar who sponsored the Palisades conference of corporate and gubernatorial CEOs that birthed ACHIEVE — in his opening remarks at the 1995 National Governors Association (NGA) meeting where Gerstner was an honored guest. He said, “I’m here because of Willie Sutton. Willie Sutton robbed banks, the story goes, because he realized that’s where the money is. I’m here because this is where the power is – the power to reform – no, to revolutionize – the US public school system.” (The Origins of the Common Core, p. 118).

In February 1996, one month before the IBM sponsored Palisades conference, Lehman Brothers sponsored the Education Industry Investment Conference. According to Douglas Dewey, “Conferees were regaled with new opportunities in a $600 billion industry, including preschool, K-12, post-secondary, and training and development.” For Dewey, writing for “The Freeman,” corporate entrepreneurship in the education field held the promise of finally eliminating government from education completely, “as public confidence in government schooling continues its inexorable collapse, and the whiff of billions begins stirring in the air, the savvy investor will focus his attention on the greatest emerging market in decades and treat government schools as just another competitor to blow out of the water.” (from The Origins of the Common Core, p. 129)

In summary, this series will suggest ways for all Americans who support their locally controlled schools to unite in efforts to reclaim the sacred ground of our democratic and locally controlled public schools.  The conclusion of the first two programs will set the tone for the third part of the series in which diverse forces, which are heroically challenging corporate education reformers and their governmental allies, engage in collaborative discussion that will unite and energize America in its efforts to marshal a unified front to reclaim America’s democratic locally controlled public schools.

To learn more and read a complete Bio about Dr. Owens, please visit her website Public Schools Central for up-to-date information on the Common Core and the Corporate Ed Reform Agenda. Here is the link for the BBS Live Radio Show and Former and Future Podcasts: The War Report on Public Education Here is the link to The War Report Facebook Page: The War Report on Public Education Facebook Group Twitter: @WarRepPubEd

Here is the podcast link from last week’s show: How did Anti-public School Corporate Reformers become the Dominant Force in Education Reform? Hosted by Dr. James Avington Miller, Jr and Special Guest Dr. Deborah Owens. This is the first in a three or four part series based on Dr. Owen’s book. If you missed last week’s show please listen to the podcast, read the summary from the blog, and then leave feedback in the blog comments section. Thank you!

Please join Deb Owens and James Avington Miller Jr. this Sunday, April 5, 2015 to discuss the Willie Sutton-like takeover of public education in America.


War Report Team

Reporting from the Front Lines

Boots on the Ground

Professor Joe Nashville’s Witty Response to a Letter from Pearson Publishing

TN Professor Joe Nashville, who previously published a satirical review of the former Commissioner of Tn Ed ( Kevin “Michelle Rhee” Huffman ) via Edushyster called  Tennessee’s Fool of Merit, is back with gaffs and laughs to expose the faux rhetoric of Pearson Publishing. Recently, Professor Nashville received this missive from a Pearson Publishing Sales Rep. In a fit of pique and witty inspiration, he revised the letter to reflect the true message hidden in the, er, rhetorical spin that is Pearson Publishing’s calling card. Read and Enjoy!

Click on the links to make them larger, then use your handy dandy magnifying glass to zoom in.

11072786_355430624658782_1848898416_n 11106258_355430641325447_95873459_n

Joe Nashville is a teacher and “edu-oke” artist. You can follow him at twitter ( or read his fine lyrics at

Blogger’s Disclaimer: I am a Literature teacher, not a journalist. What you get is what you get. Want better blogging, read a real journalist.

Can We Snatch Defeat From the Jaws of Victory ?


by Dr. James Avington Miller, Jr

The War on Public Ed, schools, teachers, students, parents/families/cities is raging on all fronts. They, the Corporate State Elite and their Machiavellian Agenda, are Winning. Years of planning, preparing, and a war chest that is in the billions/trillions if need, they are all but assured of victory. For them its just a matter of time before they can stand on the deck of another air craft carrier and declare victory ( like Bush II did ). The resistance was slow to recognize they/we were being warred upon. When we awaken to reality, it was almost too late. Now, we are slowly awakening and resisting. The only issue/question that remains: Can We Snatch Defeat From the Jaws of Victory? – Dr. James Avington Miller Jr.
The War Report on Public Education

Pearson is Peeking at Student Data : Bob Braun and Dr. Miller expose Pearson as Peeping Tom

Podcast the Sunday after Bob Braun broke the Pearson Scandal:

Part 1 here:
Podcast from this Sunday’s show – March 22- on Pearson and SpyGate Part 2-

Host Dr. James Avington Miller Jr. Special Guests: Bob Braun’s LedgerKen PrevitiLeonie Haimson and Deborah Duncan Owens…/war-report-public-education-march-22-…


Becoming Prisoners in This Education War

“Because all of us might already be in the way of becoming prisoners in this education war.”

Two nights ago, at an Orlando middle school’s “FSA parents’night,” I was accompanying Spanish-speaking parents. A teacher, the principal and even a counselor did a great job explaning “the beauty of FSA” and the computer test coming up next week.

The three professionals in front of us were being exceptionally good soldiers doing a good job making sure neither those they are serving (the students) and themselves (and their families) do not get killed in this education war.

Knowing the harm that these tests, and the FSA EOC do to students, teachers, principals, everybody at a school, and even the school itself, I couldn’t help to feel for all of them, but specifically last night for the teachers and the principal.

I asked several questions to which they answered knowing (I read their body language) none of them are good for students, teachers/princpal, and the school, but like good soldiers, they were following instructions to the “t.” They were, like any other human in their situation would have done, defending their post. And defend it they did with care and professionalism and for a particular care for the children they knew were not really being served by the abusive accountability system.

When they presented the “State mandated, locally developed EOC” tests as not of the high-stake test kind, I raised my hand once again. “They are high-stake tests because the purpose of the EOC are specifically to evaluate teachers (as per a PPT slide confirmed),” I said. Their eyes told me the whole story. But they could do nothing about it. Their lives, their families’, their bread and butter are in stake here too as much as our children’s future is.

They are soldiers alright. But like the children–and parents– they are also prisoners of war following instructions they would rather not do. Their stoicism showed exactly that: “endurance of pain or hardship without a display of feelings and without complaint.”

HispanEduca’s work is directly with Spanish-speaking parents. Our focus has always been these parents who have been forgotten by many.

However, that night I realized that if we do not join the prison students and teachers are thanks to the accountability system of which Republicans and Democrats are equally to blame, we all are going to end in God knows what kind of social prison.

Because all of us might already be in the way of becoming prisoners in this education war.

11020405_10152754246547169_1249769738_n-2 Lourdes, and grandson, Ben, who is in Kindergarten in CA

Check out for more information on HispanEduca and the services they offer the Hispanic Community.

Bronx Principal Jamaal Bowman Debunks Common Charter School Myths

This article was originally posted as a FB reply, then as a personal note, then as a blog on With a Brooklyn Accent,

then in LA Progressive

AND NOW FINALLY- the place it all started: The War Report FB group post:

Jamaal Bowman was responding to this question posted in the War Report on Public Education Group after the internet radio show on the School to Prison Pipeline.
Discussion Topic:

What do you think?

Charter schools are the best thing that has happened to public schools because they have forced public schools to “wake up” and for public school teachers to begin teaching better, due to the competition brought by Charters, than they have in previous years.

Please discuss – this was a topic raised in a group message after the School to Prison Pipeline show:

Podcast link for the Show from Sunday:

By Jamaal Bowman

Good evening. Please allow me to indulge for a moment. First, good schools are good schools. I don’t care what we call them. The most important thing in a child’s life after a parent is a good teacher, coach, or mentor. When I say good schools, I don’t mean schools that simply have good test scores. I’m speaking of schools that get good scores, as well as develop the character and passions of their students toward self actualization.
Allow me to debunk a few charter school myths. I don’t know if this applies to all charter schools but definitely the ones I have some experience with. First let me say that studies show if a parent is savvy and passionate about education, regardless of race, class, or educational background, their child is more likely to graduate high school and college. Charters (at least the ones I have experience with), make sure that parents prove how serious they are before even giving their child a chance of getting in. For example, one charter that I know, mandates (not using this word lightly), that parents attend 5-6 meetings before even entertaining the possibility of the child making it to the lottery. These are obviously parents that value education in the home. If parents miss one meeting, no lottery. On the other hand, district schools have to take everyone. The savvy parent AND the struggling parent without meeting mandates. A parent can go through an entire school year without attending a meeting and the child is guaranteed a spot in a district school.
Further, in case you didn’t know, parents also sign contracts in many charters to ensure homework is done, meetings are attended, and certain behavioral execrations are met. If the parent or child breaks the contract, the child can be kicked out of school. I know. I’ve seen it done while “interning” at a charter school.
Lastly, charters can fire teachers and have extremely high turnover rates. From my conversations and observations of charter schools, I’ve heard many of the policies and procedures be called “inhumane.” This could be why so many teachers can’t last anymore than two or three years in many charters. Ironically, these charters serve as a perfect pipeline for TFA –mocking two year commitment.
Based on what I know, as they are currently constituted, charters, TFA, and yearly standardized testing are wrong for our high need communities. We should stop funding them all unless they agree to make major adjustments to how they do business. Why? Because that money can be spent on giving all students a quality holistic education. Charters, TFA, and yearly testing infuse anxiety, disunity, and even worst, standardization into the psyche of society. They are trying to recreate a 21st century idea of “empire.” Keep the masses, and “lower class” under control while the elite continue to rule. A standardized mindset will always be controlled. Whereas in schools like Riverdale Country School, there are not state standardized assessment, no TFA and no need for a charter, and they are taught to lead and change the world.
Consider KIPP’S first graduating class. Ranked fifth in NYC in mathematics in the 8th grade, but only 21% graduated college. Why? Because KIPP test prepped the kids to death and the kids never built their character or learned to manage their own freedom. KIPP and many charters standardize and try to control everything from how kids walk through the halls to how they ask to go to the bathroom. But teaching and learning is organic; it is human. When are we gonna ask ourselves why must poor communities of color be treated like this, whereas middle class and upper class parents would NEVER go for this treatment!
WE HAVE TO hold politicians and private citizens who invest in education accountable to the true needs of our at-risk communities. We must give our communities a true voice. If charters, TFA, and the state really cared about our children being their very best, show us, by investing in daycare, Montessori, music, sports, counselors and everything in between. Charters should take all children and TFA should change everything! If not, the powers that be will continue to fatten up the district school kids to be slaughtered and fed to their private school bosses as adults.
For the rest we have jail cells waiting for them. ‪#‎wemustunite‬

BREAKING! Newark Student Union Call to Action!

Join Tanaisa Brown and the Newark Student Union as they Occupy the Office of Cami Anderson. These students are brave and really know how to take on the elusive Cami.




Watch Live Stream Here:

Read and watch news coverage here:

Newark Student Union FB here:

GoFundMe here:

Newark Student Union

Twitter : @NewarkStudents

Email: The Newark Student Union:

Department of Education to Raise High Stakes…Even Higher

By Wayne Jebian

Arnie Duncan and the United States Department of Education appear to be sold on the concept of VAM (value added model), so much so that they are taking the concept to the next level. The idea behind VAM is to crunch students’ standardized test scores to separate “good” from “bad” teachers.

In public debate, VAM is often discussed in the context of fixing failing schools and raising individual student achievement. However, if Education Secretary Arnie Duncan has his way, the use of VAM will mean that elementary school students will also be deciding issues of federal funding for graduate and professional teaching programs. The stakes in high stakes testing are about to get a whole lot higher.

The DoED released its proposed new rules for teacher preparation programs on December 3, 2014. The public was given until January 2, 2015 to comment on fiscal aspects of the new rules, and until February 2nd to comment on issues of substance. The timing of the document is one of its major problems. The brevity of the comment period, plus the fact that it straddled final exams, Christmas, Hanukah, customary vacation periods, New Years, the beginning of school, and the Super Bowl, strongly suggest that it was engineered to minimize actual public comment.

The second and larger problem is that the new rules’ reliance on bad science eclipses any legitimate concern about bad teachers. Test scores are affected by many factors, and there are many influences more important than the individual teacher, such as the family situations of the students and the general income level of their neighborhood. The use of VAM could be seen as a disincentive to work in a poor neighborhood for the individual student of education when seeking work. However, the new rules also invite a whole host of consequences.

Now, a college or university’s professional education program or school of education will be graded according to these same VAM statistics derived from school kids’ test scores. If these rules are implemented, in addition to being responsible for their teachers’ job security, the children will be determining the eligibility of graduate schools to receive federal TEACH grant money. If student VAM statistics reveal that a school of education is producing “bad teachers”, then under the new rules, it can be cut off. According to the report, “These proposed regulations would limit TEACH Grant eligibility to only those programs that States have identified as ‘effective’ or higher.”

The American Statistical Association has warned against an over-reliance on VAM for educational policy. The many shortcomings noted by the ASA include the following: “VAMs are generally based on standardized test scores, and do not directly measure potential teacher contributions toward other student outcomes.”

But Secretary Duncan appears not to have received the memo. With VAM the central instrument in assessing the quality of teachers, and now, the schools that educated them, test scores will be a crucial factor in the mandate that the new rules lay out: “Establish the required areas States must consider in identifying low-performing and at-risk teacher preparation programs, the actions States must take with respect to those programs, and the consequences for a low-performing program that loses State approval or financial support.”

What’s at stake is an unprecedented level of federal involvement in higher education. What is described is the possible takeover or elimination of teacher education programs, just as is happening with public schools in urban districts. Those are some very high stakes, resting on the backs of young students’ test scores. And in all likelihood, the federally-driven reform machine’s encroachment into higher education will not end there.